
术语 对于主题 中国 包含 Technological | 所有字形 | 只容许请确匹配
achievements in scientific and technological research研究成果
achievements in scientific and technological research科学技术的研究成果
agricultural scientific and technological achievement农业科学技术成果
application of scientific and technological advance科学技术应用
commercialization of scientific and technological achievements科学技术成果商品化
conduct scientific research and technological development jointly联合开展科学技术研究开发
funds for scientific research and technological development研究开发经费
government funds earmarked for scientific and technological endeavor财政性科学技术资金
non-service-related technological result非职务技术成果
plagiarize another person's scientific and technological results剽窃他人科学技术成果
plan for scientific and technological developments科学技术发展规划
provide technological services提供技术服务
providing technological advice技术咨询
rely on scientific and technological progress依靠科学技术进步
revision to the Law on Scientific and Technological Progress修改科学技术进步法
rewards for scientific and technological projects科学技术奖项
right for scientific and technological research achievements科技成果权
scientific and technological achievements科学技术成果
scientific and technological appraisal科学技术评价
scientific and technological force科学技术力量
scientific and technological funds科学技术基金
scientific and technological invention科学技术发明
scientific and technological personnel科学技术工作者
scientific and technological plan科学技术计划
scientific and technological popularization科学技术普及
scientific and technological progress科技进步
scientific and technological progress and independent innovation科技发展和自主创新
Scientific and Technological Progress Prize科学技术进步奖
scientific and technological research in surveying and mapping测绘科学技术研究
scientific and technological resources科学技术自然资源
scientific and technological resources科学技术资源
scientific and technological standards科学、技术标准
scientific research and technological development科学技术研究开发
scientific research and technological development institution科学技术研究开发机构
service of comprehensive scientific and technological experiments科学技术实验服务
Misplaced records of molecules:
A 11-piece molecular cluster, C20H60O24S overall in a non-equilibrium geometry, computed with wB97M-V/def2-TZVPD.

Computed properties:
Frontier orbital gap (eV): 8.6
Relative energy (zero: lowest compared OMol25 entry of this formula, charge and spin) (kJ/mol): 353.8
DFT total energy (eV): -81674.8420
Multiplicity: 1
Total charge: -2
Maximum force (eV/A): 14.3
LUMO level (Eh): 0.1539

Each atom is followed by the atoms it is bonded to, with distances in Å.
Cartesian coordinates (Å):
1 S -0.164 -0.247 -0.197  O2 1.499, O3 1.446, O4 1.412, O5 1.490
2 O -0.490 -1.703 -0.345  S1 1.499
3 O -0.403 0.143 1.175  S1 1.446
4 O 1.192 0.023 -0.484  S1 1.412
5 O -1.087 0.539 -1.063  S1 1.490
6 C -2.504 -3.856 -2.226  C7 1.533, O9 1.470, H10 1.100, H11 1.091
7 C -1.467 -4.980 -2.126  C6 1.533, O8 1.420, H12 1.162, H13 1.038
8 O -0.256 -4.377 -1.694  C7 1.420, H14 0.992
9 O -2.570 -3.399 -0.830  C6 1.470, H15 0.961
10 H -3.567 -4.038 -2.445  C6 1.100
11 H -2.292 -3.013 -2.886  C6 1.091
12 H -1.235 -5.369 -3.196  C7 1.162
13 H -1.855 -5.833 -1.679  C7 1.038
14 H -0.528 -3.539 -1.238  O8 0.992
15 H -1.863 -2.771 -0.660  O9 0.961
16 C 2.310 2.763 -1.742  C17 1.479, O19 1.421, H20 1.092, H21 1.039
17 C 2.617 4.194 -1.530  C16 1.479, O18 1.409, H22 1.060, H23 0.980
18 O 2.352 4.823 -2.763  C17 1.409, H24 0.870
19 O 2.895 2.017 -0.683  C16 1.421, H25 0.904
20 H 2.756 2.200 -2.564  C16 1.092
21 H 1.312 2.490 -1.648  C16 1.039
22 H 3.573 4.410 -1.125  C17 1.060
23 H 1.888 4.510 -0.956  C17 0.980
24 H 1.549 5.122 -2.615  O18 0.870
25 H 2.300 1.337 -0.678  O19 0.904
26 C 1.782 -4.126 0.957  C27 1.454, O29 1.379, H30 1.004, H31 1.138
27 C 2.364 -4.626 2.192  C26 1.454, O28 1.521, H32 1.000, H33 0.942
28 O 3.824 -4.904 1.869  C27 1.521, H34 0.933
29 O 0.408 -4.062 1.056  C26 1.379, H35 1.012
30 H 1.818 -4.544 0.045  C26 1.004
31 H 2.227 -3.121 0.661  C26 1.138
32 H 2.013 -5.354 2.781  C27 1.000
33 H 2.322 -3.910 2.802  C27 0.942
34 H 3.976 -3.988 1.778  O28 0.933
35 H 0.031 -3.323 0.476  O29 1.012
36 C -3.659 -0.592 1.590  C37 1.535, O39 1.421, H40 1.095, H41 1.157
37 C -3.992 -0.434 0.100  C36 1.535, O38 1.426, H42 1.115, H43 1.153
38 O -4.820 -1.397 -0.548  C37 1.426, H44 1.016
39 O -2.689 0.329 2.069  C36 1.421, H45 0.820
40 H -3.338 -1.616 1.808  C36 1.095
41 H -4.653 -0.828 2.134  C36 1.157
42 H -2.995 -0.637 -0.355  C37 1.115
43 H -4.260 0.627 -0.262  C37 1.153
44 H -4.099 -2.097 -0.699  O38 1.016
45 H -1.998 0.097 1.694  O39 0.820
46 C -1.447 4.322 -0.345  C47 1.596, O49 1.438, H50 1.175, H51 1.136
47 C -2.589 3.210 -0.272  C46 1.596, O48 1.403, H52 1.166, H53 0.918
48 O -2.606 2.590 -1.530  C47 1.403, H54 1.070
49 O -1.347 4.981 0.929  C46 1.438, H55 1.050
50 H -1.739 5.119 -1.157  C46 1.175
51 H -0.463 3.820 -0.611  C46 1.136
52 H -3.655 3.674 -0.186  C47 1.166
53 H -2.590 2.551 0.367  C47 0.918
54 H -1.976 1.726 -1.484  O48 1.070
55 H -0.946 4.213 1.522  O49 1.050
56 C -1.075 1.422 -4.344  C57 1.550, O59 1.431, H60 0.914, H61 1.056
service-related technological result职务技术成果
special scientific and technological projects科学技术专项
system for scientific research and technological development研究开发体系
system for technological innovation技术创新体系
technological association科学技术协会
technological development contract技术开发合同
technological innovation技术改进
technological innovations and inventions技术发明创造
Technological Invention Prizes技术发明奖
technological know-how技术秘密
technological means of reconnaissance技术侦察措施
technological rights and interests技术权益
technological transaction技术交易
technological transfer contract技术转让合同
the Law on Scientific and Technological Progress科技进步法
the Outline of the National Program for Long-and Medium-Term Scientific and Technological Development国家中长期科学和技术发展规划纲要
transformation of scientific and technological achievements科技成果转化